Wednesday, November 10, 2010

Miranda Cosgrove Ticks Off Her Fans

Not a good day for Tweeners today. The squeaky clean Miranda Cosgrove had her first brush with controversy yesterday after ticking off a large amount of her fans in Arizona. Miranda had been scheduled to perform a concert at the Arizona State Fair in Phoenix last night but canceled at the last minute due to a scheduling conflict. Uh huh.

"We are sorry to share the Miranda Cosgrove performance at the Arizona State Fair is regrettably canceled due to unavoidable scheduling conflicts. Refunds will be made at point of purchase. Concerts scheduled for Seattle, Ventura, Los Angeles, Pomona, and San Diego are also postponed due to scheduling conflicts. New dates will be posted soon at"

Well, someone should have told Miranda that the wise thing to do in that situation is to lay low. You know, hide. Musicians cancel stuff all the time because of false excuses, but they usually don't go on to Twitter and say, "Sitting in my favorite French restaurant after 4 hours of French with my tutor."

Interesting scheduling conflict. It also reminds me of a lot of those soft porn movies from the 80's. You know, like My Chauffeur, and My Tutor. Not, that Miranda would be doing these things. It is just the way it was written in her Tweet. Yeah, so I spent a lot of time watching Cinemax when I was younger. It also looks like she must have a lot of French lessons planned in the future to cancel all those concerts.


  1. If this is the most controversial thing she's done, she's doing pretty well.

  2. Uhhh, are we looking at a soon to be filed lawsuit between concert promoter and her management? What's the schedule conflict if she's sitting at home?

  3. If her singing is as horrible as it was on the Today show, nobody missed anything.

  4. Yeah she cancelled ALL her concerts due to "scheduling conflicts"

  5. Why would she claim scheduling conflicts? What a idiot. I suspect something else is going on.

(The page is interrupted by materials data)
~~~
A plane-wave DFT calculation with PBE was carried out for a relaxed structure of ScHg2Te.

Cell and atoms, written as CIF:
```
data_ScHg2Te
_chemical_formula_sum 'Sc1 Hg2 Te1'
_symmetry_space_group_name_H-M 'P 1 m 1'
_symmetry_Int_Tables_number 6
_cell_length_a 4.049
_cell_length_b 3.942
_cell_length_c 7.015
_cell_angle_alpha 90.00
_cell_angle_beta 106.12
_cell_angle_gamma 90.00
loop_
_symmetry_equiv_pos_as_xyz
'x,y,z'
'x,-y,z'
loop_
_atom_site_label
_atom_site_fract_x
_atom_site_fract_y
_atom_site_fract_z
_atom_site_occupancy
Sc1 0.000 0.000 0.000 1
Hg1 0.172 0.500 0.332 1
Hg2 0.771 0.000 0.535 1
Te1 0.440 0.500 0.876 1
```

Values from the calculation:
Raw formation energy (eV per atom): -0.4597
Calculated volume (Å³ per atom): 26.9


A plane-wave DFT calculation with PBE was carried out for a relaxed structure of SiIr2Pb.

Cell and atoms, written as CIF:
```
data_SiIr2Pb
_chemical_formula_sum 'Si4 Ir8 Pb4'
_symmetry_space_group_name_H-M 'F -4 3 m'
_symmetry_Int_Tables_number 216
_symmetry_space_group_name_Hall 'F -4 2 3'
_cell_length_a 6.503
_cell_length_b 6.503
_cell_length_c 6.503
_cell_angle_alpha 90.00
_cell_angle_beta 90.00
_cell_angle_gamma 90.00
loop_
_atom_site_label
_atom_site_fract_x
_atom_site_fract_y
_atom_site_fract_z
_atom_site_occupancy
Si1 0.000 0.000 0.000 1
Ir1 0.000 0.000 0.500 1
Ir2 0.250 0.250 0.250 1
Pb1 0.250 0.250 0.750 1
```

Values from the calculation:
Energy above the lowest structure with this stoichiometry (meV per atom): 714
Raw formation energy (eV per atom): 0.5945
Calculated volume (Å³ per atom): 17.2


Here is crystalline LiAs2Rh2 at its relaxed geometry from Alexandria. Energies are from PBE.

POSCAR file:
```
LiAs2Rh2
1.0
4.3041 0.0000 0.0000
1.0706 5.7022 0.0000
1.3712 0.9795 6.4787
Li As Rh
2 4 4
Direct
0.1313 0.3629 0.2924
0.8687 0.6371 0.7076
0.1184 0.7530 0.9827
0.4166 0.7655 0.4927
0.5834 0.2345 0.5073
0.8816 0.2470 0.0173
0.0570 0.1047 0.6741
0.4144 0.3774 0.8460
0.5856 0.6226 0.1540
0.9430 0.8953 0.3259
```

Output
E in eV/atom: -5.664
Energy above the most stable polymorph in this dataset in meV/atom: 48
ΔE_f in eV per atom: -0.481
Volume in Å³/atom: 15.900

***

Here is crystalline PrAg3Pd2 at its relaxed geometry from Alexandria. Energies are from PBE.

POSCAR file:
```
PrAg3Pd2
1.0
3.3120 -4.2184 0.0000
3.3120 4.2184 0.0000
-1.2477 0.0000 8.5452
Pr Ag Pd
2 6 4
Direct
0.1453 0.8547 0.7500
0.8547 0.1453 0.2500
0.1944 0.3821 0.9634
0.3821 0.1944 0.4634
0.4580 0.5420 0.2500
0.5420 0.4580 0.7500
0.6179 0.8056 0.5366
0.8056 0.6179 0.0366
0.0413 0.6946 0.3771
~~~

  6. Anonymous1:13 PM

    Why wait till the last minute to claim scheduling conflict???

  7. I believe Enty is giving us another reveal gift. I am saddened, though, that my 5-year-old's favorite person in the world is heading the way of the Disney sluts. :-( Miranda, you're better than this!

  8. I'm glad I don't have children. The fuckery that goes on behind the scenes is horrifying. I'm also glad I didn't have/know about the internet.

  9. Maybe she was going to flunk out of home-school if she doesn't spend the next few weeks studying... ;)

  10. Chopchop, which blind are you talking about?

  11. @SkittleKitty - actually, I was wondering the same thing and was coming on to post that. 4 hours of studying french sounds like someone is trying to prove to whatever school boards that she is actually being taught and learning. It is Nov, maybe she has to have so many hours in to prove she is in a school program. But again, where are the parents?????

  12. i was totally wondering about a blind...perhaps the cast with crabs or drug use because of abortion? i hope not though. these kids need someone, plus i love icarly.

The page is interrupted by data records =
____________
A relaxed structure of LaMgAl. Source: Alexandria, functional PBE-GGA.

It has space group P-1 (No. 2), with a = 3.452 Å, b = 6.643 Å, c = 7.524 Å, α = 74.75°, β = 76.78° and γ = 75.22°. The asymmetric unit holds La at (0.063, 0.124, 0.243), Mg at (0.364, 0.611, 0.162) and Al at (0.320, 0.322, 0.536).


A relaxed structure of LaMgAl. Source: Alexandria, functional PBE-GGA.

It has space group Imma (No. 74), with a = 5.865 Å, b = 6.097 Å, c = 8.350 Å, α = 90.00°, β = 90.00° and γ = 90.00°. The asymmetric unit holds La at (0.000, 0.250, 0.139), Mg at (0.250, 0.250, 0.750) and Al at (0.000, 0.000, 0.500).


| no. | formation enthalpy at 0 K (meV/atom) | E_tot (eV/cell) |
| --- | --- | --- |
| 1 | -127 | -21.293 |
| 2 | -282 | -44.442 |

* * * * *

DFT (PBE-GGA) results for a relaxed Pm2AlAg2 crystal.

* energy: -4.056 eV per atom
* space-group type: P4/mbm, No. 127
* calculated formation energy: -266.6 meV per atom
* energy relative to the lowest polymorph listed for this composition: 27 meV per atom

a = 7.6075 Å, b = 7.6075 Å, c = 4.2644 Å
α = 90.00°, β = 90.00°, γ = 90.00°
Sites, in units of the cell vectors:
Pm: 0.1748 0.3252 0.0000
Pm: 0.3252 0.8252 0.0000
Pm: 0.6748 0.1748 0.0000
Pm: 0.8252 0.6748 0.0000
Al: 0.0000 0.0000 0.5000
Al: 0.5000 0.5000 0.5000
Ag: 0.1310 0.6310 0.5000
Ag: 0.3690 0.1310 0.5000
Ag: 0.6310 0.8690 0.5000
Ag: 0.8690 0.3690 0.5000
____________

  13. Totally her. Wasn't she friends with/or still is w/ Demi? I know girls at that age are super impressionable and would love to hang with super hot experienced girls to rebel & etc. I.E. Me in 10th-11th grade. I am pretty sure she's that blind reveal.

  14. I think it's this one:

    "This seemingly sweet and fresh-faced young actress who can also sing is heading the way other troubled stars. After allegedly getting pregnant by a much older man and having a hush-hush abortion, the poor starlet can’t get over the whole affair and has turned to hard partying and drugs to forget."

    So the "much older man" must be her tutor?

  15. Sounds more like Demi again. Older guy would be Wilmer Valderrama

  16. Hmm, the way I read her tweet, I figured she ran off to Paris and met a boy.

  17. No, I think this may be the blind about the tweener who is so anorexic that she faints and is having a hard time performing. This would make perfect sense why they cancelled the impending concerts since she likely can't perform them anyway, and this clears her schedule for treatment. The tweet? Just a super dumb move on Miranda's part, especially when her peeps were handling it.

  18. If you go and read some of her tweets she is talking a lot lately about having to study Macbeth and homework and taking tests, I would believe the getting behind in school/tutoring idea. Unless she's lying and calling her boytoy "homework", I did that in college. :P

  19. what were your grades like? :P

  20. ENTY!!! You watched My Chauffeur?? It's one of my favorite movies! Love Deborah Foreman in it. AND I found it on You Tube. Watched it last night, in fact. I have always wanted to find a man who could duplicate that bedroom scene in Napa Valley...

  21. Totally like an anorexic to lie about eating. Shes in her favorite French restaurant? She is awfully pale and thin. So sorry for iCarly.

• Unrelated to this page: data records:
=====
(1)
Computed, not measured: ZrBeSb2Rh after structural relaxation at the PBEsol level of DFT.

Summary:
Mass density: 5385 kg/m³
Final energy: -24.7 eV per cell
Formation energy without anion corrections: 1.14 eV per atom
Density of states at the Fermi level: 4.380 states/eV per cell

Unit cell a=5.4294 b=5.4294 c=4.6720 alpha=90.00 beta=90.00 gamma=90.00
With the nearest neighbours (Å) after each atom.
Space group P4/mmm (No. 123)
One atom of each set of equivalent atoms:
Zr1 0.0000 0.0000 0.0000  2 Rh 2.34
Be1 0.5000 0.5000 0.5000  8 Sb 3.58, 4 Rh 3.84
Sb1 0.0000 0.5000 0.0000  2 Zr 2.71
Rh1 0.0000 0.0000 0.5000  2 Zr 2.34

***

(2)
Computed, not measured: La5Ag3 after structural relaxation at the PBEsol level of DFT.

Summary:
Mass density: 7668 kg/m³
Final energy: -74.8 eV per cell
E_form: -94 meV/atom
Density of states at the Fermi level: 22.145 states/eV per cell

Unit cell a=7.8017 b=10.5296 c=5.3678 alpha=90.00 beta=90.00 gamma=90.00
With the nearest neighbours (Å) after each atom.
Space group Cmmm (No. 65)
One atom of each set of equivalent atoms:
La1 0.0000 0.0000 0.0000  8 La 3.28-3.49, 4 Ag 3.55
La2 0.2143 0.5000 0.5000  6 Ag 3.16-3.38, 3 La 3.34-3.49
La3 0.2500 0.2500 0.0000  2 La 3.28, 6 Ag 3.28-3.33
Ag1 0.0000 0.2212 0.5000  10 La 3.22-3.55
Ag2 0.0000 0.5000 0.0000  8 La 3.16-3.28

***

(3)
Computed, not measured: Bi3AsPt after structural relaxation at the PBEsol level of DFT.

Summary:
Mass density: 9863 kg/m³
Final energy: -22.2 eV per cell
E_form: 542 meV/atom
Density of states at the Fermi level: 3.481 states/eV per cell

Unit cell a=5.3252 b=5.3252 c=5.3252 alpha=90.00 beta=90.00 gamma=90.00
With the nearest neighbours (Å) after each atom.
Space group Pm-3m (No. 221)
One atom of each set of equivalent atoms:
Bi1 0.0000 0.0000 0.5000  2 Pt 2.66
As1 0.5000 0.5000 0.5000  12 Bi 3.77
Pt1 0.0000 0.0000 0.0000  6 Bi 2.66

***

(4)
Computed, not measured: BaN2 after structural relaxation at the PBEsol level of DFT.

Summary:
Mass density: 5046 kg/m³
Final energy: -84.7 eV per cell
Formation energy without anion corrections: -0.66 eV per atom
Density of states at the Fermi level: 5.068 states/eV per cell

Unit cell a=7.1185 b=4.3816 c=7.2177 alpha=90.00 beta=104.81 gamma=90.00
With the nearest neighbours (Å) after each atom.
Space group C2/c (No. 15)
One atom of each set of equivalent atoms:
Ba1 0.0000 0.2035 0.2500  6 N 2.63-2.94
N1 0.2026 0.3547 0.9545  1 N 1.23

***

(5)
Computed, not measured: Tl2Si2I after structural relaxation at the PBEsol level of DFT.

Summary:
Mass density: 7651 kg/m³
Final energy: -33.9 eV per cell
Formation energy without anion corrections: 0.32 eV per atom
Density of states at the Fermi level: 5.284 states/eV per cell

Unit cell a=5.1285 b=5.1285 c=9.7677 alpha=90.00 beta=90.00 gamma=90.00
With the nearest neighbours (Å) after each atom.
Space group I4/mmm (No. 139)
One atom of each set of equivalent atoms:
Tl1 0.0000 0.5000 0.2500  4 Si 2.87
Si1 0.0000 0.0000 0.1192  1 Si 2.33
=====
• The page goes on:

  22. My girls LOVE Miranda and watching iCarly. I noticed a little while back while watching a new episode how scary skinny she has become. My 6 year old daughter even said "Mommy, she's TOO skinny." And I hadn't said a word about my observation. Even a first grader with no knowledge of eating disorders was able to see how scrawny she was. And they say the camera adds ten pounds, yikes. I think she's the BI about being bulimic- eating food to appease her parents and then "getting rid of it." And that she's fainting because she's starving herself.
    Pretty sad stuff. I would not be surprised if she were literally too weak to keep her concert performances.
